[Entries]
-- begin --
No. 1
36
Properties=species:S:1:pos:R:3 method="wB97M-V/def2-TZVPD" e_above_lowest_ev=1.497 smiles=CC(C)O.CC(C)O.CC(C)O
C 1.761 -0.734 5.725
C 1.850 -1.885 4.769
C 0.619 -2.776 4.774
O 2.085 -1.258 3.509
H 2.612 -0.054 5.710
H 1.643 -1.018 6.771
H 0.896 -0.106 5.515
H 2.770 -2.421 5.000
H -0.344 -2.266 4.776
H 0.778 -3.263 5.736
H 0.649 -3.580 4.039
H 2.928 -0.798 3.501
C -0.982 -3.035 -1.089
C 0.217 -2.314 -1.688
C 0.016 -1.867 -3.184
O 0.524 -1.140 -0.941
H -1.789 -2.306 -1.014
H -0.852 -3.375 -0.062
H -1.342 -3.989 -1.477
H 1.054 -3.007 -1.773
H 1.000 -1.513 -3.493
H -0.709 -1.065 -3.326
H -0.280 -2.780 -3.700
H 0.721 -1.364 -0.028
C -2.111 3.616 -2.237
C -1.136 3.600 -3.435
C -1.129 4.937 -4.121
O 0.132 3.308 -3.002
H -1.697 4.241 -1.446
H -2.085 2.625 -1.784
H -3.133 3.891 -2.498
H -1.491 2.876 -4.168
H -1.145 5.124 -5.195
H -0.323 5.569 -3.748
H -1.946 5.629 -3.917
H 0.239 2.497 -2.499

---

No. 2
57
Properties=species:S:1:pos:R:3 method="wB97M-V/def2-TZVPD" e_above_lowest_ev=2.970 smiles="C[N+](=O)[O-].C[N+](=O)[O-].C[N+](=O)[O-].C[N+](=O)[O-].C[N+](=O)[O-].C[N+](=O)[O-].C[N+](=O)[O-].BrCCBr"
C -12.855 10.447 -19.648
N -12.639 11.023 -18.293
O -11.525 11.056 -17.755
O -13.685 11.241 -17.674
H -12.434 11.234 -20.274
H -13.923 10.245 -19.739
H -12.212 9.567 -19.636
C -16.318 15.167 -12.678
N -17.445 14.906 -11.727
O -18.417 15.667 -11.848
O -17.376 13.902 -11.063
H -15.369 14.916 -12.205
H -16.384 16.143 -13.160
H -16.266 14.449 -13.496
C -8.105 9.662 -11.912
N -6.812 9.014 -11.607
O -6.421 8.716 -10.530
O -6.024 8.994 -12.608
H -8.728 9.459 -11.042
H -8.450 9.073 -12.762
H -7.774 10.688 -12.075
C -8.662 15.493 -13.876
N -8.861 17.012 -13.769
O -8.386 17.656 -12.816
O -9.464 17.518 -14.700
H -8.725 15.006 -12.902
H -7.646 15.583 -14.260
H -9.367 15.191 -14.649
C -18.161 11.849 -18.428
N -18.570 11.614 -17.040
O -18.746 12.620 -16.362
O -18.541 10.441 -16.718
H -18.025 10.937 -19.009
H -17.339 12.561 -18.354
H -18.949 12.418 -18.922
C -20.773 10.555 -9.561
N -21.224 10.529 -8.097
O -21.169 11.568 -7.577
O -21.675 9.458 -7.543
H -19.826 10.018 -9.626
H -20.573 11.591 -9.832
H -21.641 10.218 -10.128
C -19.229 4.912 -13.277
N -20.299 4.073 -12.732
O -20.957 4.463 -11.779
O -20.475 3.006 -13.251
H -18.512 5.068 -12.471
H -19.813 5.800 -13.516
H -18.716 4.539 -14.163
Br -12.434 11.749 -12.590
C -13.894 10.546 -11.975
C -14.669 10.041 -13.190
Br -16.185 9.014 -12.449
H -14.656 10.990 -11.335
H -13.554 9.653 -11.450
H -14.040 9.428 -13.835
H -15.112 10.872 -13.740

---

No. 3
45
Properties=species:S:1:pos:R:3 method="wB97M-V/def2-TZVPD" charge=+1
K -2.295 3.520 2.106
K -2.047 -0.282 2.022
K -1.949 3.977 -0.670
F -0.396 1.142 3.083
O -0.463 0.657 0.899
C -0.927 1.777 0.336
O -1.745 1.767 -0.643
O -0.562 2.872 0.760
H 0.028 0.980 1.658
C 2.234 -0.669 0.303
C 2.204 -0.213 1.734
O 0.957 -0.690 2.247
H 1.914 -1.706 0.198
H 3.268 -0.533 -0.016
H 1.506 -0.053 -0.225
H 2.195 0.871 1.845
H 2.988 -0.702 2.312
H 0.363 0.029 2.477
C 1.308 1.231 -1.713
C 0.743 2.600 -1.931
O -0.619 2.451 -2.125
H 1.046 0.994 -0.682
H 2.393 1.126 -1.718
H 1.058 0.390 -2.360
H 1.102 3.125 -2.816
H 1.064 3.241 -1.110
H -1.110 2.257 -1.322
C -0.692 -0.747 -2.824
C -1.302 -0.909 -1.436
O -2.360 0.009 -1.329
H -0.549 0.327 -2.945
H -1.302 -1.221 -3.592
H 0.283 -1.215 -2.958
H -0.552 -0.678 -0.680
H -1.706 -1.853 -1.070
H -2.072 0.843 -0.951
C -0.736 -3.244 2.243
C -0.405 -2.712 0.828
O -0.535 -1.285 0.862
H -0.032 -2.679 2.855
H -0.381 -4.274 2.243
H -1.806 -3.261 2.450
H -1.010 -3.141 0.029
H 0.554 -3.130 0.523
H 0.344 -0.986 1.105

---

Which E_LUMO belongs to each record? In order, 0.72; -0.61; -4.52 eV.
Which frontier orbital gap belongs to each record? In order, 10.65; 10.19; 6.06 eV.
Which max |F| belongs to each record? In order, 2.739; 5.292; 12.482 eV/Å.
-- stop --
[Request]
It remains to copy the whole of the entries further up word for word.
[Here it is]
No. 1
36
Properties=species:S:1:pos:R:3 method="wB97M-V/def2-TZVPD" e_above_lowest_ev=1.497 smiles=CC(C)O.CC(C)O.CC(C)O
C 1.761 -0.734 5.725
C 1.850 -1.885 4.769
C 0.619 -2.776 4.774
O 2.085 -1.258 3.509
H 2.612 -0.054 5.710
H 1.643 -1.018 6.771
H 0.896 -0.106 5.515
H 2.770 -2.421 5.000
H -0.344 -2.266 4.776
H 0.778 -3.263 5.736
H 0.649 -3.580 4.039
H 2.928 -0.798 3.501
C -0.982 -3.035 -1.089
C 0.217 -2.314 -1.688
C 0.016 -1.867 -3.184
O 0.524 -1.140 -0.941
H -1.789 -2.306 -1.014
H -0.852 -3.375 -0.062
H -1.342 -3.989 -1.477
H 1.054 -3.007 -1.773
H 1.000 -1.513 -3.493
H -0.709 -1.065 -3.326
H -0.280 -2.780 -3.700
H 0.721 -1.364 -0.028
C -2.111 3.616 -2.237
C -1.136 3.600 -3.435
C -1.129 4.937 -4.121
O 0.132 3.308 -3.002
H -1.697 4.241 -1.446
H -2.085 2.625 -1.784
H -3.133 3.891 -2.498
H -1.491 2.876 -4.168
H -1.145 5.124 -5.195
H -0.323 5.569 -3.748
H -1.946 5.629 -3.917
H 0.239 2.497 -2.499

---

No. 2
57
Properties=species:S:1:pos:R:3 method="wB97M-V/def2-TZVPD" e_above_lowest_ev=2.970 smiles="C[N+](=O)[O-].C[N+](=O)[O-].C[N+](=O)[O-].C[N+](=O)[O-].C[N+](=O)[O-].C[N+](=O)[O-].C[N+](=O)[O-].BrCCBr"
C -12.855 10.447 -19.648
N -12.639 11.023 -18.293
O -11.525 11.056 -17.755
O -13.685 11.241 -17.674
H -12.434 11.234 -20.274
H -13.923 10.245 -19.739
H -12.212 9.567 -19.636
C -16.318 15.167 -12.678
N -17.445 14.906 -11.727
O -18.417 15.667 -11.848
O -17.376 13.902 -11.063
H -15.369 14.916 -12.205
H -16.384 16.143 -13.160
H -16.266 14.449 -13.496
C -8.105 9.662 -11.912
N -6.812 9.014 -11.607
O -6.421 8.716 -10.530
O -6.024 8.994 -12.608
H -8.728 9.459 -11.042
H -8.450 9.073 -12.762
H -7.774 10.688 -12.075
C -8.662 15.493 -13.876
N -8.861 17.012 -13.769
O -8.386 17.656 -12.816
O -9.464 17.518 -14.700
H -8.725 15.006 -12.902
H -7.646 15.583 -14.260
H -9.367 15.191 -14.649
C -18.161 11.849 -18.428
N -18.570 11.614 -17.040
O -18.746 12.620 -16.362
O -18.541 10.441 -16.718
H -18.025 10.937 -19.009
H -17.339 12.561 -18.354
H -18.949 12.418 -18.922
C -20.773 10.555 -9.561
N -21.224 10.529 -8.097
O -21.169 11.568 -7.577
O -21.675 9.458 -7.543
H -19.826 10.018 -9.626
H -20.573 11.591 -9.832
H -21.641 10.218 -10.128
C -19.229 4.912 -13.277
N -20.299 4.073 -12.732
O -20.957 4.463 -11.779
O -20.475 3.006 -13.251
H -18.512 5.068 -12.471
H -19.813 5.800 -13.516
H -18.716 4.539 -14.163
Br -12.434 11.749 -12.590
C -13.894 10.546 -11.975
C -14.669 10.041 -13.190
Br -16.185 9.014 -12.449
H -14.656 10.990 -11.335
H -13.554 9.653 -11.450
H -14.040 9.428 -13.835
H -15.112 10.872 -13.740

---

No. 3
45
Properties=species:S:1:pos:R:3 method="wB97M-V/def2-TZVPD" charge=+1
K -2.295 3.520 2.106
K -2.047 -0.282 2.022
K -1.949 3.977 -0.670
F -0.396 1.142 3.083
O -0.463 0.657 0.899
C -0.927 1.777 0.336
O -1.745 1.767 -0.643
O -0.562 2.872 0.760
H 0.028 0.980 1.658
C 2.234 -0.669 0.303
C 2.204 -0.213 1.734
O 0.957 -0.690 2.247
H 1.914 -1.706 0.198
H 3.268 -0.533 -0.016
H 1.506 -0.053 -0.225
H 2.195 0.871 1.845
H 2.988 -0.702 2.312
H 0.363 0.029 2.477
C 1.308 1.231 -1.713
C 0.743 2.600 -1.931
O -0.619 2.451 -2.125
H 1.046 0.994 -0.682
H 2.393 1.126 -1.718
H 1.058 0.390 -2.360
H 1.102 3.125 -2.816
H 1.064 3.241 -1.110
H -1.110 2.257 -1.322
C -0.692 -0.747 -2.824
C -1.302 -0.909 -1.436
O -2.360 0.009 -1.329
H -0.549 0.327 -2.945
H -1.302 -1.221 -3.592
H 0.283 -1.215 -2.958
H -0.552 -0.678 -0.680
H -1.706 -1.853 -1.070
H -2.072 0.843 -0.951
C -0.736 -3.244 2.243
C -0.405 -2.712 0.828
O -0.535 -1.285 0.862
H -0.032 -2.679 2.855
H -0.381 -4.274 2.243
H -1.806 -3.261 2.450
H -1.010 -3.141 0.029
H 0.554 -3.130 0.523
H 0.344 -0.986 1.105

---

Which E_LUMO belongs to each record? In order, 0.72; -0.61; -4.52 eV.
Which frontier orbital gap belongs to each record? In order, 10.65; 10.19; 6.06 eV.
Which max |F| belongs to each record? In order, 2.739; 5.292; 12.482 eV/Å.